To do
Work out how many lines below have the word "angle" in them; a number is enough.
File
-- begin --
[1]
Calculated powder diffractogram
Compound: PrCo2AsP
Radiation: Cu Ka
Structure: a crystal structure in OQMD, relaxed with GGA-PBE
Peak positions follow from Bragg's law for the DFT cell and can differ from measured ones.

Atomic structure:
a b c (Å): 5.8349 5.8349 5.8349
angles (deg): 140.16 140.16 57.61
Atoms (fractional coordinates):
Pr  0.0000  0.0000  0.0000
Co  0.2594  0.7594  0.5000
Co  0.7594  0.2594  0.5000
As  0.6331  0.6331  0.0000
P  0.3595  0.3595  0.0000

Main lines, by intensity (2θ from 5° to 70°):
2theta	Rel. int.
36.5	100
34.7	93
45.6	54
58.5	40
24.0	26
63.9	24

***

[2]
Calculated powder diffractogram
Compound: RbCo2AsP
Radiation: Cu Ka
Structure: a crystal structure in OQMD, relaxed with GGA-PBE
Peak positions follow from Bragg's law for the DFT cell and can differ from measured ones.

Atomic structure:
a b c (Å): 7.4696 7.4696 7.4696
angles (deg): 151.10 151.10 41.33
Atoms (fractional coordinates):
Rb  0.0000  0.0000  0.0000
Co  0.2603  0.7603  0.5000
Co  0.7603  0.2603  0.5000
As  0.6615  0.6615  0.0000
P  0.3419  0.3419  0.0000

Main lines, by intensity (2θ from 5° to 70°):
2theta	Rel. int.
30.7	100
52.4	59
36.4	50
12.7	44
48.9	35
58.8	30

***

[3]
Calculated powder diffractogram
Compound: CoAsPd
Radiation: Cu Ka
Structure: a crystal structure in OQMD, relaxed with GGA-PBE
Peak positions follow from Bragg's law for the DFT cell and can differ from measured ones.

Atomic structure:
a b c (Å): 3.7074 3.7074 6.1086
angles (deg): 90.00 90.00 90.00
Atoms (fractional coordinates):
Co  0.2500  0.7500  0.0000
Co  0.7500  0.2500  0.0000
As  0.2500  0.2500  0.2307
As  0.7500  0.7500  0.7693
Pd  0.2500  0.2500  0.6349
Pd  0.7500  0.7500  0.3651

Main lines, by intensity (2θ from 5° to 70°):
2theta	Rel. int.
37.3	100
38.2	96
49.2	88
45.6	82
34.2	63
51.2	46

***

[4]
Calculated powder diffractogram
Compound: ScCoAsPt
Radiation: Cu Ka
Structure: a crystal structure in OQMD, relaxed with GGA-PBE
Peak positions follow from Bragg's law for the DFT cell and can differ from measured ones.

Atomic structure:
a b c (Å): 4.4752 4.4752 4.4752
angles (deg): 60.00 60.00 60.00
Atoms (fractional coordinates):
Sc  0.0000  0.0000  0.0000
Co  0.5000  0.5000  0.5000
As  0.2500  0.2500  0.2500
Pt  0.7500  0.7500  0.7500

Main lines, by intensity (2θ from 5° to 70°):
2theta	Rel. int.
40.3	100
28.2	24
24.4	23
58.3	17
47.7	12
66.0	10

~~~~~

1.
Diffraction record for Ba4GaAg3. The powder diffractogram is simulated, not measured: it uses the PBE geometry in Alexandria and Cu Kα.
Kinematic intensities with the Lorentz-polarization factor, no thermal factor.

Main lines, by angle (2θ = 15–90°):
26.90°, d = 3.315 Å, I = 100.0, (1 1 1)
28.51°, d = 3.131 Å, I = 51.3, (1 0 3)
33.85°, d = 2.648 Å, I = 69.5, (1 1 3)
33.98°, d = 2.638 Å, I = 30.7, (0 1 4)
36.17°, d = 2.483 Å, I = 31.4, (0 2 0)
37.75°, d = 2.383 Å, I = 27.9, (2 0 0)
46.69°, d = 1.945 Å, I = 25.9, (1 2 3)
51.69°, d = 1.768 Å, I = 18.0, (2 1 4)
53.28°, d = 1.719 Å, I = 20.2, (2 2 0)
67.70°, d = 1.384 Å, I = 17.8, (1 2 7)

Structure:
a b c (Å): 4.7662 4.9663 12.4550
angles (deg): 90.00 90.00 90.00
Space group Pmm2 (No. 25)
Symmetry-distinct sites (fractional):
Ba 0.0000 0.0000 0.0000 [1 per cell]
Ba 0.0000 0.5000 0.2771 [1 per cell]
Ba 0.5000 0.0000 0.4952 [1 per cell]
Ba 0.5000 0.5000 0.7774 [1 per cell]
Ga 0.5000 0.0000 0.2003 [1 per cell]
Ag 0.0000 0.0000 0.7042 [1 per cell]
Ag 0.0000 0.5000 0.5728 [1 per cell]
Ag 0.5000 0.5000 0.0806 [1 per cell]



2.
Diffraction record for BaGa4Ag2. The powder diffractogram is simulated, not measured: it uses the PBE geometry in Alexandria and Cu Kα.
Kinematic intensities with the Lorentz-polarization factor, no thermal factor.

Main lines, by angle (2θ = 15–90°):
29.11°, d = 3.068 Å, I = 98.8, (1 1 2)
32.02°, d = 2.795 Å, I = 100.0, (0 2 0)
32.84°, d = 2.727 Å, I = 75.2, (-1 1 1)
33.47°, d = 2.678 Å, I = 19.1, (1 1 -1)
33.59°, d = 2.668 Å, I = 21.1, (1 -1 1)
40.70°, d = 2.217 Å, I = 34.4, (2 0 1)
40.81°, d = 2.211 Å, I = 28.2, (2 2 1)
-- stop --
Outcome
2